
Wikidata is an open knowledge base hosted by the Wikimedia Foundation that can be read and edited by both humans and machines. Wikidata acts as the central source of common, open structured data used by Wikipedia, Wiktionary, Wikisource, and others. It is used in a variety of academic and industrial applications.

In recent years, we have seen an increase in the number of scientific publications around Wikidata. While there are a number of venues for the Wikidata community to exchange, none of those publish original research. We want to bridge the gap between these communities and the research events and give the research-focused part of the Wikidata community a venue to meet and exchange information and knowledge.

The Wikidata Workshop 2020 focuses on the challenges and opportunities of working on a collaborative open-domain knowledge graph such as Wikidata, which is edited by an international and multilingual community. We encourage submissions that observe the influence such a knowledge graph has on the web of data, as well as those working on improving this knowledge graph itself. This workshop brings together everyone working around Wikidata in both the scientific field and industry to discuss trends and topics around this collaborative knowledge graph.

What is Wikidata?

Call for Papers

The papers will be peer-reviewed by at least three researchers. Selected papers will be published on CEUR (we only publish to CEUR if the authors agree to have their papers published). Papers have to be submitted through easychair.

Submission Link: https://easychair.org/conferences/?conf=wikidataworkshop2020

Important Dates

Papers due: August 17, 2020

(Extended) August 10, 2020

Notification of accepted papers: October 5, 2020

Camera ready papers due: October 15, 2020

Workshop date: November 02, 2020

Submission Guidelines

Submissions must be as PDF, formatted in the style of the Springer Publications format for Lecture Notes in Computer Science (LNCS). For details on the LNCS style, see Springer’s Author Instructions.

We will accept papers up to 12 pages (excluding references, contribution of the paper should justify the length of the paper), including the following:

Novel research contributions (7-12 pages)
Novel research contributions of smaller scope than full papers (3-6 pages)
Presenting a novel idea, that is not yet in the scope of a research contribution (6-8 pages)
Presenting a new dataset or other resource, includes the publication of that resource (8-12 pages)
Presenting a system based on research concepts (6-8 pages)

Schedule Detail

The workshop time is: 3 - 8 pm (CET), 2 - 7 pm (UK), 6 - 11 am (California, US)

All times below in CET.

To join the workshop, use this zoom link

Registration to the Wikidatat Workshop through ISWC: https://iswc2020.semanticweb.org/attending/registration/

  • 15:00 - 15:15


    Welcome from the organisers, agenda, rules of engagement
  • 15:15 - 15:50


    Lydia Pintscher, Wikidata, Wikimedia Deutschland
  • 15:50 - 16:30

    Lightening Talks

    Short (2 minute) overview over all papers
  • 16:30 - 16:35

    Short break

  • 16:35 - 17:05

    Poster Session 1: Case Studies on Wikidata

  • 17:05 - 17:25

    Long break

  • 17:25 - 18:00

    Poster session 2: Wikidata and its Applications

  • 18:00 - 18:30


    Katherine Thornton, Yale University Library
  • 18:30 - 18:35

    Short break

  • 18:35 - 19:05

    Poster session 3: Wikidata and Wikipedia

  • 19:05 - 19:10

    Short break

  • 19:10 - 19:55


  • 19:55 - 20:00


    Concluding remarks, closing
Poster session 1: Case Studies on Wikidata 16:35 - 17:05 (CET)
Room 1: Simon Razniewski and Priyanka Das: Structured knowledge: Have we made progress? An extrinsic study of KB coverage over 19 years
Room 2: Filip Ilievski, Pedro Szekely and Daniel Schwabe: Commonsense Knowledge in Wikidata
Room 4: Eva Seidlmayer, Jakob Voß, Tetyana Melnychuk, Lukas Galke, Klaus Tochtermann,Carsten Schultz and Konrad U. Förstner: ORCID for Wikidata. Data enrichment for scientometric applications

Poster session 2: Wikidata and its Applications 17:25 - 18:00 (CET)
Room 1: Antonin Delpeuch: OpenTapioca - Lightweight Entity Linking for Wikidata
Room 1: Antonin Delpeuch : Running a Reconciliation Service for Wikidata
Room 2: Marco Caballero and Aidan Hogan: Global Vertex Similarity for Large-Scale Knowledge Graphs
Room 3: David Martin and Peter Patel-Schneider: Wikidata Constraints on MARS
Room 4: Alejandro González Hevia, Guillermo Facundo Colunga, Emilio Rubiera Azcona and Jose Emilio Labra Gayo: Automatic synchronization of RDF graphs representing ontologies and Wikibase instances

Poster session 3: Wikidata and Wikipedia 18:35 - 19:05
Room 1: Natalia Ostapuk, Djellel Difallah and Philippe Cudre-Mauroux: SectionLinks: Mapping Orphan Wikidata Entities onto Wikipedia Sections
Room 2: Paolo Curotto and Aidan Hogan: Suggesting Citations for Wikidata Claims based on Wikipedia's External References
Room 3: Isaac Johnson: Analyzing Wikidata Transclusion on English Wikipedia
Room 4: Marc Miquel Ribé: Diversity in a Language-Independent Wiki: Six Design Requirements and Goals to Embed a Diversity Mindset

Our Speakers

speaker img

Lydia Pintscher

Wikidata, Wikimedia Deutschland

Keynote & Panel

speaker img

Kat Thornton

Yale University Library

Keynote: Wikidata's Schema Namespace: Interlinked Data Models That Anyone Can Edit


Harmonia Amanda

Wikidata Community Member

Heiko Paulheim

University of Mannheim, Germany

Vicki Tardif

Google Knowledge Graph

Lydia Pintscher

Wikidata, Product Manager

Vladimir Alexiev

Ontotext, Chief Data Architect


Co-located with ISWC 2020

Online event

Image: Wikimedia Hackathon 2020, CC-BY-SA 4.0

Accepted Papers

Simon Razniewski and Priyanka Das
Structured knowledge: Have we made progress? An extrinsic study of KB coverage over 19 years

Antonin Delpeuch: OpenTapioca
Lightweight Entity Linking for Wikidata

Marc Miquel Ribé
Diversity in a Language-Independent Wiki: Six Design Requirements and Goals to Embed a Diversity Mindset

Alejandro González Hevia, Guillermo Facundo Colunga, Emilio Rubiera Azcona and Jose Emilio Labra Gayo
Automatic synchronization of RDF graphs representing ontologies and Wikibase instances

Isaac Johnson
Analyzing Wikidata Transclusion on English Wikipedia

Eva Seidlmayer, Jakob Voß, Tetyana Melnychuk, Lukas Galke, Klaus Tochtermann,
Carsten Schultz and Konrad U. Förstner
ORCID for Wikidata. Data enrichment for scientometric applications

Filip Ilievski, Pedro Szekely and Daniel Schwabe
Commonsense Knowledge in Wikidata

David Martin and Peter Patel-Schneider
Wikidata Constraints on MARS

Natalia Ostapuk, Djellel Difallah and Philippe Cudre-Mauroux
SectionLinks: Mapping Orphan Wikidata Entities onto Wikipedia Sections

Paolo Curotto and Aidan Hogan
Suggesting Citations for Wikidata Claims based on Wikipedia's External References

Marco Caballero and Aidan Hogan
Global Vertex Similarity for Large-Scale Knowledge Graphs

Antonin Delpeuch
Running a Reconciliation Service for Wikidata


Organizing Committee

Lucie-Aimée Kaffee, University of Southampton. lucie.kaffee[[@]]gmail.com

Lucie-Aimée Kaffee is a PhD candidate at ECS, University of Southampton and research intern at Bloomberg’s AI Group in London. She was previously a research fellow at TIB, Hannover and software developer in the Wikidata team, Wikimedia Germany. Her research focus is multilingual linked data in collaborative knowledge graphs, and she has published on Wikidata research. Lucie was the proceedings chair of ISWC 2018, OC of AMAR: First International Workshop on Approaches for Making Data Interoperable at SEMANTiCS 2019 and participated in the PC of The Web Conference 2020, AAAI-20 Students, ESWC 2019, ISWC 2019 and SEMANTiCS 2019 and of the workshops Wikidata Quality 2019 and Workshop on Contextualized Knowledge Graphs at ISWC 2018 and ISWC 2019. She has organized Ladies that FOSS (2016), an event to enable a more diverse open source development community, Wikidata meetings in London (2018) and was part of the committee of WikidataCon 2019.

Oana Tifrea-Marciuska, Bloomberg. otifreamarci[[@]]bloomberg.net

Oana Tifrea-Marciuska is a senior research scientist and engineer with Bloomberg’s AI Group in London. She received her Ph.D. from the Department of Computer Science, University of Oxford, in 2017. From 2016 to 2018, she was with the Alan Turing Institute in London and the University of Oxford as a Post-Doctoral Researcher and a Visiting Researcher, respectively. Her research ranges from Semantic Web, personalisation, adaptive learning systems and semantic parsing. She is the co-founder of Oxford Women in Computer Science Society (OxWoCS), that aims to promote and support women in computer science. She co-organised for OxWoCS various events like panels, industry events, distinguished speakers events and Oxbridge Women in Computer Science Conference (an annual conference co-organised by OxWoCS and Cambridge women@CL that aims to bring together junior and senior female computer scientists at Oxford and Cambridge, with the aim to encourage collaboration through formal and informal discussion). Dr. Tifrea-Marciuska was a recipient of multiple awards and honors, including the EPSRC Doctoral Prize, the Google European Fellowship in Social Search, and the Google Anita Scholarship.

Elena Simperl, University of Southampton. E.Simperl[[@]]soton.ac.uk

Elena Simperl is professor of computer science at the University of Southampton and director of the Southampton Data Science Academy. She is also one of the Directors of the Web Science Institute, a Turing Fellow and a Fellow of the British Computer Society. Before joining Southampton in 2012, she was assistant professor at the Karlsruhe Institute of Technology (KIT), Germany (2010-12) and vice-director of the Semantic Technologies Institute (STI) Innsbruck, Austria (2007-10). She has contributed to more than 20 research projects, often as principal investigator or project lead. Currently she is the PI of four grants: the EU-funded Data Pitch, which supports SMEs to innovate with data, the EU-funded QROWD, which uses crowd and artificial intelligence to improve smart transportation systems, the EPSRC-funded Data Stories, which works on methods and tools to make data more engaging, and the EU funded ACTION, which develops social computing methods for citizen science. She authored more than 150 papers in semantic technologies, linked data, social computing and crowdsourcing and was programme/general chair of the European and International Semantic Web Conference, the European Data Forum and the AAAI Conference on Human Computation and Crowdsourcing.

Denny Vrandečić, Wikimedia Foundation. dvrandecic[[@]]wikimedia.org

Denny Vrandečić is head of the Abstract Wikipedia project. He was an ontologist for the Google Knowledge Graph, founder of Wikidata, the collaboratively edited knowledge base behind Wikipedia and the other Wikimedia projects, founding administrator of the Croatian Wikipedia, co-creator of the widely used Semantic MediaWiki software, and was a member of the Board of Trustees of the Wikimedia Foundation. He received a PhD from KIT on the topic of ontology evaluation. He has been working in Stuttgart, Karlsruhe, Rome, Los Angeles, Berlin, and now San Francisco.

Program Committee

Dan Brickley, Google

Andrew D. Gordon, Microsoft Research & University of Edinburgh

Dennis Diefenbach, University Jean Monet

Aidan Hogan, Universidad de Chile

Markus Krötzsch, Technische Universität Dresden

Edgar Meij, Bloomberg

Claudia Müller-Birn, FU Berlin

Finn Årup Nielsen, Technical University of Denmark

Thomas Pellissier Tanon, Télécom ParisTech

Lydia Pintscher, Wikidata, Wikimedia Deutschland

Alessandro Piscopo, BBC

(Next to the page, the page also holds crystal structures)
........
(1)
# Li2Ag2Pd4N
Theoretical PXRD pattern, copper Kα. Input: a structure optimized by DFT (PBE).
Intensities are scaled so that the largest is 100.

Atomic structure:
```
data_Li2Ag2Pd4N
_cell_length_a 5.672
_cell_length_b 5.672
_cell_length_c 8.177
_cell_angle_alpha 90.00
_cell_angle_beta 90.00
_cell_angle_gamma 90.00
_space_group_name_H-M_alt 'I 4/m m m'
_space_group_IT_number 139
_space_group_name_Hall '-I 4 2'
loop_
_atom_site_label
_atom_site_fract_x
_atom_site_fract_y
_atom_site_fract_z
_atom_site_occupancy
Li1 0.000 0.000 0.244 1
Ag1 0.000 0.500 0.250 1
Pd1 0.245 0.245 0.000 1
N1 0.000 0.000 0.500 1
```

Peak list (10 most intense, 2θ from 10° to 80°, low angle first)
Position (°2θ)	d [Å]	I_rel
21.74	4.089	12
22.17	4.010	20
31.24	2.863	22
38.64	2.330	100
44.31	2.044	18
45.22	2.005	34
65.17	1.432	22
65.87	1.418	11
77.75	1.228	12
79.05	1.211	23



(2)
# NaLi4Ag3
Theoretical PXRD pattern, copper Kα. Input: a structure optimized by DFT (PBE).
Intensities are scaled so that the largest is 100.

Atomic structure:
```
data_NaLi4Ag3
_cell_length_a 9.257
_cell_length_b 6.610
_cell_length_c 4.627
_cell_angle_alpha 90.00
_cell_angle_beta 90.00
_cell_angle_gamma 90.00
_space_group_name_H-M_alt 'P m m a'
_space_group_IT_number 51
loop_
_space_group_symop_operation_xyz
'x,y,z'
'-x,-y,-z'
'-x+1/2,-y,z'
'x+1/2,y,-z'
'x+1/2,-y,-z'
'-x+1/2,y,z'
'-x,y,-z'
'x,-y,z'
loop_
_atom_site_label
_atom_site_fract_x
_atom_site_fract_y
_atom_site_fract_z
_atom_site_occupancy
Na1 0.000 0.000 0.000 1
Li1 0.000 0.273 0.500 1
Li2 0.250 0.273 0.001 1
Ag1 0.000 0.500 0.000 1
Ag2 0.250 0.000 0.501 1
Ag3 0.250 0.500 0.502 1
```

Peak list (10 most intense, 2θ from 10° to 80°, low angle first)
Position (°2θ)	d [Å]	I_rel
13.40	6.610	19
23.47	3.791	19
26.98	3.305	52
27.25	3.272	100
38.72	2.325	96
38.92	2.314	48
48.00	1.896	41
63.02	1.475	17
63.44	1.466	17
70.36	1.338	30



(3)
# NaLi4Ag
Theoretical PXRD pattern, copper Kα. Input: a structure optimized by DFT (PBE).
Intensities are scaled so that the largest is 100.

Atomic structure:
```
data_NaLi4Ag
_cell_length_a 3.356
_cell_length_b 3.553
_cell_length_c 10.425
_cell_angle_alpha 90.00
_cell_angle_beta 90.68
_cell_angle_gamma 90.00
_space_group_name_H-M_alt 'P 1 2/m 1'
_space_group_IT_number 10
loop_
_space_group_symop_operation_xyz
'x,y,z'
'-x,-y,-z'
'-x,y,-z'
'x,-y,z'
loop_
_atom_site_label
_atom_site_fract_x
_atom_site_fract_y
_atom_site_fract_z
_atom_site_occupancy
Na1 0.000 0.000 0.000 1
Li1 0.005 0.000 0.629 1
Li2 0.494 0.500 0.220 1
Ag1 0.500 0.500 0.500 1
```

Peak list (10 most intense, 2θ from 10° to 80°, low angle first)
Position (°2θ)	d [Å]	I_rel
17.01	5.212	100
26.51	3.362	88
27.83	3.206	32
28.03	3.184	31
36.16	2.484	43
36.84	2.440	45
37.02	2.428	20
40.69	2.217	22
40.98	2.202	21
51.49	1.775	20



(4)
# Na2LiAg3
Theoretical PXRD pattern, copper Kα. Input: a structure optimized by DFT (PBE).
Intensities are scaled so that the largest is 100.

Atomic structure:
```
data_Na2LiAg3
_cell_length_a 9.563
........

Marco Ponza, University of Pisa

Simon Razniewski, Max Planck Institute for Informatics

Miriam Redi, Wikimedia Foundation

Cristina Sarasua, University of Zurich

Maria-Esther Vidal, TIB Hannover

Pavlos Vougiouklis, Huawei Technologies, Edinburgh

Zainan Victor Zhou, Google

In memory of Amrapali Zaveri, who would have been on the program committee.